Cycling Culture and Its Benefits

These crystal structures were left in the piece by mistake:
- - -
[1]
This entry pairs a crystal structure of LaCeGe4Pt4 with its simulated powder X-ray diffraction pattern. Radiation: Cu Kα (weighted mean of Kα1 and Kα2). Structure: the PBE geometry in the Materials Project.

The 10 most intense peaks (10 to 90 degrees two-theta), low angle first:
Position (°2θ)  I (rel.)
27.0  140
30.1  337
33.7  653
33.9  1000
41.0  805
46.5  390
49.9  161
54.1  253
59.4  268
70.2  134

Atomic structure:
Cell: 4.400 4.399 10.035 Å, 90.00 90.15 90.00°
Fractional positions:
1 La 0.000 0.000 0.000
2 Ce 0.501 0.500 0.496
3 Ge 0.014 0.500 0.251
4 Ge 0.488 0.500 0.880
5 Ge 0.515 0.000 0.252
6 Ge 0.985 0.000 0.618
7 Pt 0.016 0.000 0.374
8 Pt 0.484 0.000 0.745
9 Pt 0.513 0.500 0.128
10 Pt 0.986 0.500 0.747

[2]
This entry pairs a crystal structure of TmGa3Os with its simulated powder X-ray diffraction pattern. Radiation: Cu Kα (weighted mean of Kα1 and Kα2). Structure: the PBE geometry in the Materials Project.

The 10 most intense peaks (10 to 90 degrees two-theta), low angle first:
Position (°2θ)  I (rel.)
19.6  144
27.9  182
34.3  110
39.9  1000
44.8  74
49.3  72
57.6  146
65.2  125
72.4  270
85.9  79

Atomic structure:
Cell: 6.398 6.398 6.398 Å, 90.00 90.00 90.00°
Fractional positions:
1 Tm 0.000 0.000 0.500
2 Tm 0.000 0.500 0.000
3 Tm 0.500 0.000 0.000
4 Ga 0.000 0.000 0.000
5 Ga 0.286 0.286 0.286
6 Ga 0.286 0.286 0.714
7 Ga 0.286 0.714 0.286
8 Ga 0.286 0.714 0.714
9 Ga 0.714 0.286 0.286
10 Ga 0.714 0.286 0.714
11 Ga 0.714 0.714 0.286
12 Ga 0.714 0.714 0.714
13 Os 0.000 0.500 0.500
14 Os 0.500 0.000 0.500
15 Os 0.500 0.500 0.000

[3]
This entry pairs a crystal structure of Mg3SbO4 with its simulated powder X-ray diffraction pattern. Radiation: Cu Kα (weighted mean of Kα1 and Kα2). Structure: the PBE geometry in the Materials Project.

The 10 most intense peaks (10 to 90 degrees two-theta), low angle first:
Position (°2θ)  I (rel.)
19.3  794
27.4  679
33.7  500
39.1  1000
44.0  377
48.4  283
56.5  618
60.3  182
67.4  240
70.9  195

Atomic structure:
Cell: 4.606 4.606 4.606 Å, 90.00 90.00 90.00°
Fractional positions:
1 Mg 0.000 0.000 0.500
2 Mg 0.000 0.500 0.000
3 Mg 0.500 0.000 0.000
4 Sb 0.500 0.500 0.500
5 O 0.000 0.000 0.000
6 O 0.000 0.500 0.500
7 O 0.500 0.000 0.500
8 O 0.500 0.500 0.000

[4]
This entry pairs a crystal structure of ThInRh2 with its simulated powder X-ray diffraction pattern. Radiation: Cu Kα (weighted mean of Kα1 and Kα2). Structure: the PBE geometry in the Materials Project.

The 10 most intense peaks (10 to 90 degrees two-theta), low angle first:
Position (°2θ)  I (rel.)
22.4  84
26.0  65
37.0  1000
43.7  49
45.8  21
53.4  174
58.6  22
60.3  28
66.7  354
78.9  111

Atomic structure:
Cell: 4.855 4.855 4.855 Å, 60.00 60.00 60.00°
Fractional positions:
1 Th 0.000 0.000 0.000
2 In 0.500 0.500 0.500
3 Rh 0.250 0.250 0.250
4 Rh 0.750 0.750 0.750

[5]
- - -

24 June 2021

As more people around the world are more aware and educated about the drastic effect of pollution on our planet and our personal health throughout the years, people and societies are adapting to the cycling culture. There are a lot of benefits attributed to bicycling. You can save money on gas, you keep your weight in check, you can get to places and shortcuts that would otherwise not be available through automobiles and you contribute to the worldwide problem with climate change and destruction of the ozone layer. There are so many pros and not so many cons to cycling.

## Data records, as found in the file
-- begin --
No. 1
Theoretical powder diffraction line list
Compound: RuC8N6
Radiation: CuKα
Structure: a structure optimized by DFT (GGA-PBE)

Cell and atoms:
```
RuC8N6
1.0
7.2596 0.0000 0.0000
0.0000 5.1838 0.0000
0.0000 0.0000 10.4081
Ru C N
2 16 12
Direct
0.0000 0.0000 0.0000 Ru
0.5000 0.0000 0.5000 Ru
0.0000 0.3805 0.2421 C
0.0000 0.4281 0.6621 C
0.0000 0.5719 0.3379 C
0.0000 0.6195 0.7579 C
0.1634 0.3147 0.6173 C
0.1634 0.6853 0.3827 C
0.3366 0.3147 0.8827 C
0.3366 0.6853 0.1173 C
0.5000 0.3805 0.2579 C
0.5000 0.4281 0.8379 C
0.5000 0.5719 0.1621 C
0.5000 0.6195 0.7421 C
0.6634 0.3147 0.8827 C
0.6634 0.6853 0.1173 C
0.8366 0.3147 0.6173 C
0.8366 0.6853 0.3827 C
0.0000 0.2276 0.1590 N
0.0000 0.7724 0.8410 N
0.2061 0.2106 0.9239 N
0.2061 0.7894 0.0761 N
0.2939 0.2106 0.5761 N
0.2939 0.7894 0.4239 N
0.5000 0.2276 0.3410 N
0.5000 0.7724 0.6590 N
0.7061 0.2106 0.5761 N
0.7061 0.7894 0.4239 N
0.7939 0.2106 0.9239 N
0.7939 0.7894 0.0761 N
```

The 10 most intense peaks (10 to 90 degrees two-theta), most intense first:
2θ/deg	intensity
22.74	100
14.88	88
24.23	48
17.06	38
34.75	29
46.42	23
28.51	21
45.43	16
24.52	15
31.02	14

---

No. 2
Theoretical powder diffraction line list
Compound: Sm8CS3N3
Radiation: CuKα
Structure: a structure optimized by DFT (GGA-PBE)

Cell and atoms:
```
Sm8CS3N3
1.0
3.7276 2.1522 6.4165
-3.7276 2.1522 6.4165
0.0000 -4.3043 6.4165
Sm C S N
8 1 3 3
Direct
0.2357 0.7391 0.7391 Sm
0.2369 0.2369 0.2369 Sm
0.2609 0.2609 0.7643 Sm
0.2609 0.7643 0.2609 Sm
0.7391 0.2357 0.7391 Sm
0.7391 0.7391 0.2357 Sm
0.7631 0.7631 0.7631 Sm
0.7643 0.2609 0.2609 Sm
0.5000 0.5000 0.5000 C
0.0000 0.5000 0.5000 S
0.5000 0.0000 0.5000 S
0.5000 0.5000 0.0000 S
0.0000 0.0000 0.5000 N
0.0000 0.5000 0.0000 N
0.5000 0.0000 0.0000 N
```

The 10 most intense peaks (10 to 90 degrees two-theta), most intense first:
2θ/deg	intensity
33.42	100
29.18	90
48.87	37
47.11	28
27.81	27
57.16	23
60.50	18
81.36	15
57.93	14
36.32	12


Structure and computed powder XRD pattern of HoScRu2 (the PBE geometry in the Materials Project; Cu Kα (λ = 1.5418 Å)).
No peak broadening, texture or thermal motion is included.

The 7 most intense peaks (2θ = 10–80°), sorted by position:
2θ (°), I/Imax
23.34, 19.4
38.57, 100.0
45.57, 10.5
55.68, 16.9
61.19, 4.5
69.78, 33.7
74.70, 3.4

Structure:
Lattice parameters (Å, degrees): 4.669 4.669 4.669 60.00 60.00 60.00
Positions (direct):
1 Ho 0.000 0.000 0.000
2 Sc 0.500 0.500 0.500
3 Ru 0.250 0.250 0.250
4 Ru 0.750 0.750 0.750

Structure and computed powder XRD pattern of Mg6VCu (the PBE geometry in the Materials Project; Cu Kα (λ = 1.5418 Å)).
No peak broadening, texture or thermal motion is included.

The 10 most intense peaks (2θ = 10–80°), sorted by position:
2θ (°), I/Imax
16.85, 21.8
18.21, 14.0
33.94, 28.6
36.90, 37.9
38.78, 100.0
38.92, 49.6
51.00, 16.8
60.94, 15.8
67.77, 26.0
73.41, 17.4

Structure:
Lattice parameters (Å, degrees): 4.872 6.082 6.082 60.29 90.00 90.00
Positions (direct):
1 Mg 0.000 0.000 0.000
2 Mg 0.000 0.490 0.990
-- stop --

Cycling culture is defined as a mainstream culture adapted by a community or society that supports the use of bicycles as a means of primary transportation. An example of this would be the NetherlandsDenmark, Germany, Belgium, Sweden, Italy, China, Bangladesh, and Japan. There are also towns in some countries where bicycle culture has been a fundamental part of society for generations, even without much support from the government.

That is the case of Ílhavo, in Portugal. In the US and Canada, some cities with an excellent bicycle culture are MadisonPortlandSan FranciscoBostonTorontoMontrealLincolnPeoria, and the Twin Cities

These cities that have a strong bicycle culture usually have a well-developed cycling infrastructure, including segregated bike lanes and extensive facilities catering to urban bicycles, such as bike racks. One example is the Netherlands where instead of strictly enforcing helmets on riders they have made infrastructure and the roads safe for bicycles.

The environmental impact of the cycling culture is extensive. For one thing, it consumes zero fossil fuel. In 2020 alone, The United States consumed 72.94 quadrillions of British thermal. The good news is this figure shows a significant decline. This is partly due to the overall reduction of energy consumption during the coronavirus pandemic. The highest recorded fossil fuel consumption was in 2018, which was 81.27 quadrillion British thermal units.

Apart from that, it creates zero pollution when used as a transport. Every year, the emissions of greenhouse gases (GHG) in the U.S. increase. According to experts, it is foreseen to increase by 35 percent between 2005 and 2030. By numbers, this amounts to 7.2 to 9.7 billion tons CO2 equivalent. 

With that said, the greater the number of trips made by bicycle, the slower will be the rate of this increase. On a smaller scale, this would amount to 6-14 million tons of CO2 avoided and 700 million to 1.6 billion gallons of fuel saved.

To the individual and community that adapts a cycling culture, it comes with great savings too. The cost for transportation allowance, budget for gas and car maintenance will be significantly decreased. A family or big households would have a greater advantage as these savings could incrementally go to college education funds for the children, medical sinking funds or insurance, yearly vacations for the whole family, and the like.

The national and local governments also benefit from the cycling culture. Mainly because bicycles could use 80-90% of the current infrastructures in the US. It also takes up less space in parking lots so there is no need to build more parking lots for cars. That said buildings and development will be minimal and would be less of a threat to underdeveloped areas that are against gentrification.

There is a huge variety of bikes in a cycling-centric community. It all depends on the needs, quality of roads, and hobbies that cyclists have. The most common type of bike used is a road bike. This is very useful in highly urbanized areas. They are designed to run fast on well-paved surfaces, hence its name. It has a lightweight frame and narrow wheels, which would be an advantage for city rides but would be a great deal of discomfort and disadvantage for unpaved surfaces.

The next most common bike used is the mountain bike. It has a heavier frame and a bit wider wheels specially designed for rocky trails, gravel roads, and mountainous environments. Although they are not as fast as road bikes, they are very handy when climbing steep terrains. The handlebars of mountain bikes are also designed for better steering and control. They can also be used in the city but they would not be as fast as road bikes. However, they are at an advantage with potholes and other urban road hindrances.

Another bike that is also very handy when it comes to transportation is the Touring bike. It is designed for very long travels, for those who have touring bicycles on their bucket list or have their bike as primary transportation for longer destinations. Unlike the formerly mentioned ones, touring bikes have a bigger capacity for baggage. The frame is very sturdy and allows for smoother travels. The average touring cyclist can hold around 20 to 40 pounds of baggage on his bike.

One bike that is also very popular among urban cyclists is the folding bike. It is very lightweight and can be folded. However, the wheels are smaller so it’s not very comfortable and fast compared to road bikes. One advantage of this though, is that it can be taken anywhere. Some use it to ride going to train stations and it would be allowed inside. It can also be taken to planes, ships, cruises, yachts, or boats. That is why a lot of people opt for the folding bike.

- - -
The following is a theoretical X-ray diffraction stick pattern of PmHoIrPb. It was derived from DFT lattice parameters and positions (GGA-PBE), using a wavelength of 1.5418 Å.

Crystal structure
```
data_PmHoIrPb
_cell_length_a 3.528
_cell_length_b 3.528
_cell_length_c 8.085
_cell_angle_alpha 90.00
_cell_angle_beta 90.00
_cell_angle_gamma 90.00
_symmetry_space_group_name_H-M 'P 4 m m'
_symmetry_Int_Tables_number 99
loop_
_symmetry_equiv_pos_as_xyz
'x,y,z'
'-y,x,z'
'-x,-y,z'
'y,-x,z'
'-x,y,z'
'y,x,z'
'x,-y,z'
'-y,-x,z'
loop_
_atom_site_label
_atom_site_fract_x
_atom_site_fract_y
_atom_site_fract_z
Pm1 0.000 0.000 0.000
Ho1 0.000 0.000 0.590
Ir1 0.500 0.500 0.782
Pb1 0.500 0.500 0.304
```

Largest 12 diffraction maxima, by intensity, 10° ≤ 2θ ≤ 90°:
| two_theta | I/Imax | index |
| --- | --- | --- |
| 33.7 | 100 | 1 0 2 |
| 36.0 | 49 | 1 1 0 |
| 63.3 | 38 | 2 1 2 |
| 51.8 | 18 | 2 0 0 |
| 58.8 | 13 | 1 1 4 |
| 86.1 | 12 | 3 0 2 |
| 87.4 | 8 | 3 1 0 |
| 70.9 | 7 | 2 0 4 |
| 44.8 | 7 | 0 0 4 |
| 42.2 | 7 | 1 0 3 |
| 10.9 | 6 | 0 0 1 |
| 76.3 | 6 | 2 2 0 |
- - -

Having a cycling culture in one’s own community has a lot of perks and making it mainstream even so. People would not overthink so much as to what kind of proper attire you need or what bike upgrades you need before you can fully get into riding as a part of one’s way of life. Cycling culture is primarily function over form. With that said, if you enjoy riding your bike or would like to incorporate it in your effort to better your health, just pick up your bike, put a helmet on, and just ride it. 

However, if you can’t go out due to the weather or restrictions of the pandemic, there is still an option for you to ride your bike. That is by using the Smart Bike Trainer Stand BT01 from FlexiSpot. You just prop your bike on it and cycle away. You don’t need a spinning machine if you already have a bike with this product. You can use it at home, at the office, wherever you like. This bike trainer is equipped with a reinforced buckle and super-wide base, providing you a safe and stable training state no matter how intense your exercise is.